**Activity:**
Your job: retype the calculation results below unchanged.

**File:**
~~~
{
  "formula": "C44H52BBrGeMoN3O4Te",
  "method": "ωB97M-V/def2-TZVPD",
  "elements": ["Te", "Mo", "Br", "Ge", "O", "O", "O", "O", "N", "N", "N", "C", "C", "C", "C", "C", "C", "C", "C", "C", "C", "C", "C", "C", "C", "C", "C", "C", "C", "C", "C", "C", "C", "C", "C", "C", "C", "C", "C", "C", "C", "C", "C", "C", "C", "C", "C", "C", "C", "C", "C", "C", "C", "C", "C", "B", "H", "H", "H", "H", "H", "H", "H", "H", "H", "H", "H", "H", "H", "H", "H", "H", "H", "H", "H", "H", "H", "H", "H", "H", "H", "H", "H", "H", "H", "H", "H", "H", "H", "H", "H", "H", "H", "H", "H", "H", "H", "H", "H", "H", "H", "H", "H", "H", "H", "H", "H", "H"],
  "coordinates": [[-0.51616, 2.87328, 3.06963], [0.16366, -0.51497, -0.17895], [-0.70998, -2.50509, 1.83893], [-1.64049, -1.38273, -1.93591], [1.10722, -2.16636, -0.56932], [1.09220, -0.16877, 1.54574], [2.36853, -3.41714, -1.93378], [2.88784, 1.59266, -2.49585], [0.03341, 1.65545, -0.43133], [-1.70748, 0.05341, 0.60849], [1.52734, 0.00041, -1.54770], [5.03017, 0.43844, 3.44936], [3.71921, 0.39839, 2.66225], [-5.77415, 0.80623, -2.86789], [0.80992, 2.01935, -5.58526], [3.27293, -1.73083, 3.99065], [4.07849, 0.28097, 1.17046], [-5.51646, -0.49201, -3.28107], [-2.77222, 0.18394, 1.04514], [0.73158, -0.39151, -5.36953], [-3.32006, -0.40930, -2.25659], [2.98445, 1.71929, 2.92373], [1.59541, -1.02507, 2.44176], [-0.74317, 4.98185, 2.73121], [2.56702, -2.88828, 4.33198], [-0.60775, 1.01718, -3.91427], [3.29671, -3.10702, 6.70942], [1.96672, -2.34579, -1.59066], [0.72912, -2.79694, -5.14013], [1.99269, 1.29204, -1.74651], [-4.58001, 6.05312, 4.32841], [-3.69063, 7.04781, 3.93944], [-2.59584, 2.91567, 3.56373], [-2.12642, -3.20837, -1.42128], [3.14112, -3.84677, 5.37307], [-2.97422, 4.36677, 3.69687], [2.29875, -1.02800, -2.23806], [-0.12602, 2.13477, -4.53502], [1.17041, -1.67830, -5.77941], [-4.81030, 1.50179, -2.15300], [1.30624, 2.26721, -0.82542], [-3.59794, 0.89658, -1.85585], [2.84452, -0.79464, 3.06143], [2.23596, -5.05826, 5.59472], [1.36703, -3.12093, 3.68031], [-4.22147, 4.72218, 4.20737], [-2.08644, 5.36122, 3.30321], [4.51400, -4.34953, 4.90424], [-0.15808, -2.68378, -4.04260], [-0.18326, -0.28348, -4.29471], [-2.45080, 6.70053, 3.43151], [0.92057, -2.19794, 2.75490], [-0.61860, -1.46528, -3.61365], [1.21463, 0.78426, -5.99763], [-4.30198, -1.09088, -2.97555], [-4.23444, 0.24551, 1.59742], [-0.65789, 1.81014, -1.16223], [2.33153, -2.73900, 7.06246], [-1.75345, 7.47400, 3.13101], [-2.68551, -3.71082, -2.21183], [5.63528, -0.45450, 3.28236], [3.70611, -3.78006, 7.46618], [-2.76105, -3.16124, -0.53476], [-6.72457, 1.27185, -3.09493], [5.61338, 1.29850, 3.11534], [-5.55021, 6.31654, 4.72925], [0.77664, -4.00562, 3.86829], [1.93072, 2.37892, 0.06334], [4.22394, -1.56407, 4.47573], [2.07304, 1.78564, 2.33393], [-1.23662, -3.79309, -1.18762], [1.18310, 3.23543, -1.30601], [4.63600, 1.16313, 0.84485], [2.06358, -1.06404, -3.30364], [1.19288, 2.90921, -6.06691], [1.92295, 0.68218, -6.81144], [3.36690, -0.82599, -2.14776], [-0.33327, 2.03564, 0.45041], [-1.37395, 1.11545, -3.15572], [3.63255, 2.56249, 2.67012], [-4.64584, 1.36384, 1.35979], [-6.26332, -1.04305, -3.83864], [1.07463, -3.77574, -5.44642], [4.92974, -5.04247, 5.63924], [4.42934, -4.87097, 3.94904], [2.68419, -5.71340, 6.34343], [4.70333, -0.59802, 0.99751], [-0.48046, 3.11515, -4.23898], [2.10893, -5.63889, 4.67879], [0.06591, 5.52226, 3.21894], [-4.17116, 0.01726, 2.78609], [-4.12142, -2.10754, -3.30834], [-4.91177, 3.94365, 4.50955], [1.87303, -1.75199, -6.60119], [-4.85510, -0.59643, 0.98821], [4.85736, 0.54995, 4.52178], [-3.96203, 8.09095, 4.03771], [-3.17219, 2.42179, 2.78885], [1.24991, -4.76315, 5.95943], [2.70747, 1.80651, 3.97651], [-5.00732, 2.50968, -1.81059], [-0.45220, -3.58867, -3.52332], [-2.87568, 1.46014, -1.27633], [-0.69914, 5.18695, 1.66257], [3.18842, 0.18718, 0.54904], [5.22320, -3.53012, 4.77969], [-2.74609, 2.37419, 4.49536], [3.97057, -2.25373, 6.61961]],
~~~

**Done:**
{
  "formula": "C44H52BBrGeMoN3O4Te",
  "method": "ωB97M-V/def2-TZVPD",
  "elements": ["Te", "Mo", "Br", "Ge", "O", "O", "O", "O", "N", "N", "N", "C", "C", "C", "C", "C", "C", "C", "C", "C", "C", "C", "C", "C", "C", "C", "C", "C", "C", "C", "C", "C", "C", "C", "C", "C", "C", "C", "C", "C", "C", "C", "C", "C", "C", "C", "C", "C", "C", "C", "C", "C", "C", "C", "C", "B", "H", "H", "H", "H", "H", "H", "H", "H", "H", "H", "H", "H", "H", "H", "H", "H", "H", "H", "H", "H", "H", "H", "H", "H", "H", "H", "H", "H", "H", "H", "H", "H", "H", "H", "H", "H", "H", "H", "H", "H", "H", "H", "H", "H", "H", "H", "H", "H", "H", "H", "H", "H"],
  "coordinates": [[-0.51616, 2.87328, 3.06963], [0.16366, -0.51497, -0.17895], [-0.70998, -2.50509, 1.83893], [-1.64049, -1.38273, -1.93591], [1.10722, -2.16636, -0.56932], [1.09220, -0.16877, 1.54574], [2.36853, -3.41714, -1.93378], [2.88784, 1.59266, -2.49585], [0.03341, 1.65545, -0.43133], [-1.70748, 0.05341, 0.60849], [1.52734, 0.00041, -1.54770], [5.03017, 0.43844, 3.44936], [3.71921, 0.39839, 2.66225], [-5.77415, 0.80623, -2.86789], [0.80992, 2.01935, -5.58526], [3.27293, -1.73083, 3.99065], [4.07849, 0.28097, 1.17046], [-5.51646, -0.49201, -3.28107], [-2.77222, 0.18394, 1.04514], [0.73158, -0.39151, -5.36953], [-3.32006, -0.40930, -2.25659], [2.98445, 1.71929, 2.92373], [1.59541, -1.02507, 2.44176], [-0.74317, 4.98185, 2.73121], [2.56702, -2.88828, 4.33198], [-0.60775, 1.01718, -3.91427], [3.29671, -3.10702, 6.70942], [1.96672, -2.34579, -1.59066], [0.72912, -2.79694, -5.14013], [1.99269, 1.29204, -1.74651], [-4.58001, 6.05312, 4.32841], [-3.69063, 7.04781, 3.93944], [-2.59584, 2.91567, 3.56373], [-2.12642, -3.20837, -1.42128], [3.14112, -3.84677, 5.37307], [-2.97422, 4.36677, 3.69687], [2.29875, -1.02800, -2.23806], [-0.12602, 2.13477, -4.53502], [1.17041, -1.67830, -5.77941], [-4.81030, 1.50179, -2.15300], [1.30624, 2.26721, -0.82542], [-3.59794, 0.89658, -1.85585], [2.84452, -0.79464, 3.06143], [2.23596, -5.05826, 5.59472], [1.36703, -3.12093, 3.68031], [-4.22147, 4.72218, 4.20737], [-2.08644, 5.36122, 3.30321], [4.51400, -4.34953, 4.90424], [-0.15808, -2.68378, -4.04260], [-0.18326, -0.28348, -4.29471], [-2.45080, 6.70053, 3.43151], [0.92057, -2.19794, 2.75490], [-0.61860, -1.46528, -3.61365], [1.21463, 0.78426, -5.99763], [-4.30198, -1.09088, -2.97555], [-4.23444, 0.24551, 1.59742], [-0.65789, 1.81014, -1.16223], [2.33153, -2.73900, 7.06246], [-1.75345, 7.47400, 3.13101], [-2.68551, -3.71082, -2.21183], [5.63528, -0.45450, 3.28236], [3.70611, -3.78006, 7.46618], [-2.76105, -3.16124, -0.53476], [-6.72457, 1.27185, -3.09493], [5.61338, 1.29850, 3.11534], [-5.55021, 6.31654, 4.72925], [0.77664, -4.00562, 3.86829], [1.93072, 2.37892, 0.06334], [4.22394, -1.56407, 4.47573], [2.07304, 1.78564, 2.33393], [-1.23662, -3.79309, -1.18762], [1.18310, 3.23543, -1.30601], [4.63600, 1.16313, 0.84485], [2.06358, -1.06404, -3.30364], [1.19288, 2.90921, -6.06691], [1.92295, 0.68218, -6.81144], [3.36690, -0.82599, -2.14776], [-0.33327, 2.03564, 0.45041], [-1.37395, 1.11545, -3.15572], [3.63255, 2.56249, 2.67012], [-4.64584, 1.36384, 1.35979], [-6.26332, -1.04305, -3.83864], [1.07463, -3.77574, -5.44642], [4.92974, -5.04247, 5.63924], [4.42934, -4.87097, 3.94904], [2.68419, -5.71340, 6.34343], [4.70333, -0.59802, 0.99751], [-0.48046, 3.11515, -4.23898], [2.10893, -5.63889, 4.67879], [0.06591, 5.52226, 3.21894], [-4.17116, 0.01726, 2.78609], [-4.12142, -2.10754, -3.30834], [-4.91177, 3.94365, 4.50955], [1.87303, -1.75199, -6.60119], [-4.85510, -0.59643, 0.98821], [4.85736, 0.54995, 4.52178], [-3.96203, 8.09095, 4.03771], [-3.17219, 2.42179, 2.78885], [1.24991, -4.76315, 5.95943], [2.70747, 1.80651, 3.97651], [-5.00732, 2.50968, -1.81059], [-0.45220, -3.58867, -3.52332], [-2.87568, 1.46014, -1.27633], [-0.69914, 5.18695, 1.66257], [3.18842, 0.18718, 0.54904], [5.22320, -3.53012, 4.77969], [-2.74609, 2.37419, 4.49536], [3.97057, -2.25373, 6.61961]],